What to do
What is needed: write out all of the contents underneath character by character.
Data
<<<
Record 1
DFT (the ωB97M-V functional and the def2-TZVPD basis) results for a structure of composition C6H13N3.

Structure (XYZ):
```
22
Properties=species:S:1:pos:R:3:lowdin_charge:R:1
C 1.572 1.801 -0.315 -0.0753
C -0.160 0.252 0.368 -0.4102
C 0.835 -0.662 1.038 -0.1733
C -0.120 -1.493 -0.924 -0.2615
C -1.160 -0.758 -0.120 -0.2881
C -1.573 1.044 0.601 -0.1595
H 2.330 1.769 -1.189 0.0962
H 1.214 2.885 -0.166 0.0944
H 2.065 1.241 0.515 0.0480
H 1.103 0.090 -1.268 0.0977
H 0.591 -1.303 2.047 0.1595
H 1.798 -0.198 1.286 0.0774
H 0.973 -2.673 0.409 0.1568
H -0.029 -0.901 -1.835 0.1120
H -0.335 -2.543 -1.273 0.1319
H -1.720 -1.406 0.743 0.1941
H -3.154 0.339 -0.681 0.1809
H -2.060 0.782 1.465 0.0594
H -1.600 2.250 0.643 0.1460
N 0.506 0.801 -0.786 -0.0760
N 0.950 -1.670 -0.014 -0.0727
N -2.028 0.355 -0.543 -0.0375
```

Its HOMO energy is -8.1 eV. As for the charge: 0. Its LUMO energy is 0.954 eV. For the gap between HOMO and LUMO, the calculation gives 0.33300 Eh.

=====

Record 2
DFT (the ωB97M-V functional and the def2-TZVPD basis) results for a cluster of 4 separate species, C6H13N3 in total.

Structure (XYZ):
```
22
Properties=species:S:1:pos:R:3:lowdin_charge:R:1
C 2.005 2.664 -1.272 -0.1644
C 1.445 -0.573 0.527 -0.0310
C 1.267 0.629 -0.360 -0.5050
N 0.050 0.682 -1.022 0.1275
N 2.186 1.507 -0.420 -0.0071
H -0.060 1.338 -1.778 0.0803
H -0.565 -0.124 -0.967 0.0717
H 2.867 3.320 -1.149 0.0631
H 1.942 2.392 -2.335 0.0741
H 1.102 3.240 -1.020 0.0700
H 2.389 -0.486 1.059 0.0755
H 0.621 -0.652 1.239 0.0655
H 1.450 -1.485 -0.073 0.0774
C -2.047 -2.839 0.165 -0.0689
N -2.150 0.788 1.325 0.1000
C -2.266 -0.357 0.715 -0.1528
C -2.216 -1.637 0.626 -0.2062
H -1.559 1.487 0.884 0.0952
H -2.716 1.024 2.131 0.1122
H -0.428 -3.821 1.140 0.1048
H -0.611 -3.410 0.424 -0.0050
H -2.706 -3.686 0.161 0.0233
```

Its HOMO energy is -7.6 eV. As for the charge: 0. Its LUMO energy is -0.381 eV. For the gap between HOMO and LUMO, the calculation gives 0.26425 Eh.

=====

Record 3
DFT (the ωB97M-V functional and the def2-TZVPD basis) results for a cluster of 2 separate species, C6H13N3 in total.

Structure (XYZ):
```
22
Properties=species:S:1:pos:R:3:lowdin_charge:R:1
C -1.056 0.503 1.678 -0.1172
C -1.045 -1.839 -1.154 -0.1525
C 1.599 -1.626 -0.115 -0.0489
N -0.765 1.220 0.456 -0.1703
C 1.281 0.817 -0.368 -0.0700
C 0.814 -0.443 -0.659 -0.4239
N -1.642 2.191 0.225 0.0363
C 2.097 1.830 -0.456 -0.0083
N -0.420 -0.534 -1.153 0.0043
H -1.552 2.625 -0.682 0.0975
H -2.563 2.174 0.660 0.0938
H -0.764 1.098 2.552 0.0810
H -2.121 0.252 1.786 0.0771
H -0.490 -0.427 1.682 0.0623
H -2.056 -1.741 -1.551 0.0650
H -0.509 -2.550 -1.798 0.0780
H -1.108 -2.301 -0.157 0.0726
H 2.561 -1.305 0.282 0.0754
H 1.773 -2.359 -0.907 0.0753
H 1.060 -2.140 0.686 0.0673
H 2.071 2.657 0.248 0.0490
H 2.836 1.899 -1.253 0.0562
```

Its HOMO energy (alpha / beta) is -7.0 / -6.9 eV. As for the charge: 0. Its LUMO energy (alpha / beta) is 0.286 / 0.951 eV. For the gap between HOMO and LUMO (alpha / beta), the calculation gives 0.26877 / 0.28991 Eh.

=====

Record 4
DFT (the ωB97M-V functional and the def2-TZVPD basis) results for the ion C6H13N3 with charge +2.

Structure (XYZ):
```
22
Properties=species:S:1:pos:R:3:lowdin_charge:R:1
C -1.541 -0.342 1.424 0.1039
C -0.064 1.112 -0.001 -0.1652
C 1.099 0.276 -0.595 -0.1071
C -1.125 -0.939 -1.026 -0.0749
C -0.266 0.308 -1.153 -0.1653
C 1.905 -0.631 0.142 -0.0243
N 3.122 -0.556 0.409 0.2919
N -2.064 -0.829 0.077 -0.0186
N -0.177 2.400 0.397 0.1424
H -2.269 0.161 1.988 0.0708
H 1.822 0.783 -1.210 0.1666
H -1.047 -1.026 2.025 0.0471
H -1.625 -1.054 -1.978 0.1499
H -0.512 -1.824 -0.815 0.1480
H -0.433 0.789 -2.079 0.1666
H 1.428 -1.513 0.625 0.1779
H 3.617 -1.382 0.507 0.1512
H 3.557 0.323 0.316 0.1593
H -2.594 -1.730 0.385 0.2321
H -2.903 -0.210 -0.071 0.2057
H 0.792 2.764 0.765 0.1842
H -0.720 3.120 -0.134 0.1577
```
>>>
Worked solution
Record 1
DFT (the ωB97M-V functional and the def2-TZVPD basis) results for a structure of composition C6H13N3.

Structure (XYZ):
```
22
Properties=species:S:1:pos:R:3:lowdin_charge:R:1
C 1.572 1.801 -0.315 -0.0753
C -0.160 0.252 0.368 -0.4102
C 0.835 -0.662 1.038 -0.1733
C -0.120 -1.493 -0.924 -0.2615
C -1.160 -0.758 -0.120 -0.2881
C -1.573 1.044 0.601 -0.1595
H 2.330 1.769 -1.189 0.0962
H 1.214 2.885 -0.166 0.0944
H 2.065 1.241 0.515 0.0480
H 1.103 0.090 -1.268 0.0977
H 0.591 -1.303 2.047 0.1595
H 1.798 -0.198 1.286 0.0774
H 0.973 -2.673 0.409 0.1568
H -0.029 -0.901 -1.835 0.1120
H -0.335 -2.543 -1.273 0.1319
H -1.720 -1.406 0.743 0.1941
H -3.154 0.339 -0.681 0.1809
H -2.060 0.782 1.465 0.0594
H -1.600 2.250 0.643 0.1460
N 0.506 0.801 -0.786 -0.0760
N 0.950 -1.670 -0.014 -0.0727
N -2.028 0.355 -0.543 -0.0375
```

Its HOMO energy is -8.1 eV. As for the charge: 0. Its LUMO energy is 0.954 eV. For the gap between HOMO and LUMO, the calculation gives 0.33300 Eh.

=====

Record 2
DFT (the ωB97M-V functional and the def2-TZVPD basis) results for a cluster of 4 separate species, C6H13N3 in total.

Structure (XYZ):
```
22
Properties=species:S:1:pos:R:3:lowdin_charge:R:1
C 2.005 2.664 -1.272 -0.1644
C 1.445 -0.573 0.527 -0.0310
C 1.267 0.629 -0.360 -0.5050
N 0.050 0.682 -1.022 0.1275
N 2.186 1.507 -0.420 -0.0071
H -0.060 1.338 -1.778 0.0803
H -0.565 -0.124 -0.967 0.0717
H 2.867 3.320 -1.149 0.0631
H 1.942 2.392 -2.335 0.0741
H 1.102 3.240 -1.020 0.0700
H 2.389 -0.486 1.059 0.0755
H 0.621 -0.652 1.239 0.0655
H 1.450 -1.485 -0.073 0.0774
C -2.047 -2.839 0.165 -0.0689
N -2.150 0.788 1.325 0.1000
C -2.266 -0.357 0.715 -0.1528
C -2.216 -1.637 0.626 -0.2062
H -1.559 1.487 0.884 0.0952
H -2.716 1.024 2.131 0.1122
H -0.428 -3.821 1.140 0.1048
H -0.611 -3.410 0.424 -0.0050
H -2.706 -3.686 0.161 0.0233
```

Its HOMO energy is -7.6 eV. As for the charge: 0. Its LUMO energy is -0.381 eV. For the gap between HOMO and LUMO, the calculation gives 0.26425 Eh.

=====

Record 3
DFT (the ωB97M-V functional and the def2-TZVPD basis) results for a cluster of 2 separate species, C6H13N3 in total.

Structure (XYZ):
```
22
Properties=species:S:1:pos:R:3:lowdin_charge:R:1
C -1.056 0.503 1.678 -0.1172
C -1.045 -1.839 -1.154 -0.1525
C 1.599 -1.626 -0.115 -0.0489
N -0.765 1.220 0.456 -0.1703
C 1.281 0.817 -0.368 -0.0700
C 0.814 -0.443 -0.659 -0.4239
N -1.642 2.191 0.225 0.0363
C 2.097 1.830 -0.456 -0.0083
N -0.420 -0.534 -1.153 0.0043
H -1.552 2.625 -0.682 0.0975
H -2.563 2.174 0.660 0.0938
H -0.764 1.098 2.552 0.0810
H -2.121 0.252 1.786 0.0771
H -0.490 -0.427 1.682 0.0623
H -2.056 -1.741 -1.551 0.0650
H -0.509 -2.550 -1.798 0.0780
H -1.108 -2.301 -0.157 0.0726
H 2.561 -1.305 0.282 0.0754
H 1.773 -2.359 -0.907 0.0753
H 1.060 -2.140 0.686 0.0673
H 2.071 2.657 0.248 0.0490
H 2.836 1.899 -1.253 0.0562
```

Its HOMO energy (alpha / beta) is -7.0 / -6.9 eV. As for the charge: 0. Its LUMO energy (alpha / beta) is 0.286 / 0.951 eV. For the gap between HOMO and LUMO (alpha / beta), the calculation gives 0.26877 / 0.28991 Eh.

=====

Record 4
DFT (the ωB97M-V functional and the def2-TZVPD basis) results for the ion C6H13N3 with charge +2.

Structure (XYZ):
```
22
Properties=species:S:1:pos:R:3:lowdin_charge:R:1
C -1.541 -0.342 1.424 0.1039
C -0.064 1.112 -0.001 -0.1652
C 1.099 0.276 -0.595 -0.1071
C -1.125 -0.939 -1.026 -0.0749
C -0.266 0.308 -1.153 -0.1653
C 1.905 -0.631 0.142 -0.0243
N 3.122 -0.556 0.409 0.2919
N -2.064 -0.829 0.077 -0.0186
N -0.177 2.400 0.397 0.1424
H -2.269 0.161 1.988 0.0708
H 1.822 0.783 -1.210 0.1666
H -1.047 -1.026 2.025 0.0471
H -1.625 -1.054 -1.978 0.1499
H -0.512 -1.824 -0.815 0.1480
H -0.433 0.789 -2.079 0.1666
H 1.428 -1.513 0.625 0.1779
H 3.617 -1.382 0.507 0.1512
H 3.557 0.323 0.316 0.1593
H -2.594 -1.730 0.385 0.2321
H -2.903 -0.210 -0.071 0.2057
H 0.792 2.764 0.765 0.1842
H -0.720 3.120 -0.134 0.1577
```